It remains to set down the entries further down with every line break kept.
+++
1.
Starting from a crystal structure in the Materials Project, relaxed with GGA-PBE, the powder X-ray diffraction pattern of Ba2BiSbO6 was calculated for Cu Kα (weighted mean of Kα1 and Kα2).
No peak broadening, texture or thermal motion is included.

Peak list (10 most intense, 10° ≤ 2θ ≤ 80°, by intensity)
hkl 2 2 0, 29.12 deg, rel. 100
hkl 4 2 2, 51.63 deg, rel. 41
hkl 4 0 0, 41.66 deg, rel. 29
hkl 6 2 0, 68.41 deg, rel. 19
hkl 4 4 0, 60.38 deg, rel. 18
hkl 4 4 4, 76.03 deg, rel. 6
hkl 2 0 0, 20.48 deg, rel. 4
hkl 1 1 1, 17.71 deg, rel. 3
hkl 3 1 1, 34.29 deg, rel. 3
hkl 3 3 1, 45.59 deg, rel. 2

Cell and atoms:
a b c (Å): 8.6727 8.6727 8.6727
angles (deg): 90.00 90.00 90.00
Space group Fm-3m (No. 225)
One atom of each set of equivalent atoms:
Ba: 0.2500 0.2500 0.2500 x8
Bi: 0.0000 0.0000 0.0000 x4
Sb: 0.0000 0.0000 0.5000 x4
O: 0.0000 0.0000 0.2671 x24



2.
Starting from a crystal structure in the Materials Project, relaxed with GGA-PBE, the powder X-ray diffraction pattern of Cr6C3N was calculated for Cu Kα (weighted mean of Kα1 and Kα2).
No peak broadening, texture or thermal motion is included.

Peak list (10 most intense, 10° ≤ 2θ ≤ 80°, by intensity)
hkl 2 0 -3, 43.73 deg, rel. 100
hkl 1 1 1, 35.93 deg, rel. 58
hkl 2 0 3, 44.15 deg, rel. 53
hkl 4 0 0, 39.13 deg, rel. 45
hkl 1 1 -2, 42.60 deg, rel. 34
hkl 3 1 1, 45.87 deg, rel. 27
hkl 3 1 -1, 45.66 deg, rel. 26
hkl 0 2 0, 66.76 deg, rel. 25
hkl 1 1 2, 42.75 deg, rel. 24
hkl 3 1 2, 51.66 deg, rel. 22

Cell and atoms:
a b c (Å): 9.2081 2.8026 6.9142
angles (deg): 90.00 90.67 90.00
Space group C2/m (No. 12)
One atom of each set of equivalent atoms:
Cr: 0.0983 0.0000 0.2550 x4
Cr: 0.1425 0.5000 0.9341 x4
Cr: 0.1474 0.5000 0.5758 x4
C: 0.0000 0.0000 0.0000 x2
C: 0.2478 0.5000 0.2474 x4
N: 0.0000 0.0000 0.5000 x2



3.
Starting from a crystal structure in the Materials Project, relaxed with GGA-PBE, the powder X-ray diffraction pattern of Ho2Co3Si5 was calculated for Cu Kα (weighted mean of Kα1 and Kα2).
No peak broadening, texture or thermal motion is included.

Peak list (10 most intense, 10° ≤ 2θ ≤ 80°, by intensity)
hkl 3 2 1, 36.24 deg, rel. 100
hkl 2 0 2, 37.62 deg, rel. 64
hkl 1 2 1, 24.41 deg, rel. 60
hkl 2 4 0, 37.03 deg, rel. 57
hkl 0 4 2, 46.01 deg, rel. 56
hkl 5 2 1, 53.24 deg, rel. 32
hkl 0 0 2, 32.42 deg, rel. 24
hkl 0 4 0, 31.75 deg, rel. 23
hkl 3 2 3, 60.35 deg, rel. 22
hkl 3 6 1, 59.52 deg, rel. 20

Cell and atoms:
a b c (Å): 9.5578 11.2743 5.5229
angles (deg): 90.00 90.00 90.00
Space group Ibam (No. 72)
One atom of each set of equivalent atoms:
Ho: 0.2328 0.1349 0.0000 x8
Co: 0.0000 0.5000 0.2500 x4
Co: 0.1088 0.1381 0.5000 x8
Si: 0.0000 0.0000 0.2500 x4
Si: 0.0000 0.2742 0.2500 x8
Si: 0.1591 0.3991 0.0000 x8



4.
Starting from a crystal structure in the Materials Project, relaxed with GGA-PBE, the powder X-ray diffraction pattern of Tm4FeS7 was calculated for Cu Kα (weighted mean of Kα1 and Kα2).
No peak broadening, texture or thermal motion is included.

Peak list (10 most intense, 10° ≤ 2θ ≤ 80°, by intensity)
hkl 2 0 2, 24.80 deg, rel. 100
hkl 2 0 -3, 25.32 deg, rel. 95
hkl 3 1 0, 32.93 deg, rel. 60
hkl 3 1 1, 35.38 deg, rel. 57
hkl 3 1 -2, 34.21 deg, rel. 54
hkl 3 1 -1, 32.53 deg, rel. 47
hkl 6 0 1, 48.80 deg, rel. 47
hkl 4 0 -1, 29.11 deg, rel. 47
hkl 1 1 -2, 28.85 deg, rel. 45
hkl 1 1 4, 43.29 deg, rel. 44

Cell and atoms:
a b c (Å): 12.2741 3.7413 11.2588
angles (deg): 90.00 104.59 90.00
Space group Cm (No. 8)
One atom of each set of equivalent atoms:
Tm: 0.0000 0.0000 0.0000 x2
Tm: 0.0809 0.5000 0.3603 x2
Tm: 0.1942 0.5000 0.8004 x2
Tm: 0.3880 0.0000 0.5968 x2
Fe: 0.3053 0.5000 0.2189 x2
S: 0.0339 0.0000 0.7433 x2
S: 0.1618 0.5000 0.0215 x2
S: 0.2025 0.0000 0.2897 x2
S: 0.2303 0.5000 0.5787 x2
S: 0.3554 0.0000 0.8463 x2
S: 0.4257 0.0000 0.1488 x2
S: 0.4483 0.5000 0.4338 x2



5.
+++
1.
Starting from a crystal structure in the Materials Project, relaxed with GGA-PBE, the powder X-ray diffraction pattern of Ba2BiSbO6 was calculated for Cu Kα (weighted mean of Kα1 and Kα2).
No peak broadening, texture or thermal motion is included.

Peak list (10 most intense, 10° ≤ 2θ ≤ 80°, by intensity)
hkl 2 2 0, 29.12 deg, rel. 100
hkl 4 2 2, 51.63 deg, rel. 41
hkl 4 0 0, 41.66 deg, rel. 29
hkl 6 2 0, 68.41 deg, rel. 19
hkl 4 4 0, 60.38 deg, rel. 18
hkl 4 4 4, 76.03 deg, rel. 6
hkl 2 0 0, 20.48 deg, rel. 4
hkl 1 1 1, 17.71 deg, rel. 3
hkl 3 1 1, 34.29 deg, rel. 3
hkl 3 3 1, 45.59 deg, rel. 2

Cell and atoms:
a b c (Å): 8.6727 8.6727 8.6727
angles (deg): 90.00 90.00 90.00
Space group Fm-3m (No. 225)
One atom of each set of equivalent atoms:
Ba: 0.2500 0.2500 0.2500 x8
Bi: 0.0000 0.0000 0.0000 x4
Sb: 0.0000 0.0000 0.5000 x4
O: 0.0000 0.0000 0.2671 x24



2.
Starting from a crystal structure in the Materials Project, relaxed with GGA-PBE, the powder X-ray diffraction pattern of Cr6C3N was calculated for Cu Kα (weighted mean of Kα1 and Kα2).
No peak broadening, texture or thermal motion is included.

Peak list (10 most intense, 10° ≤ 2θ ≤ 80°, by intensity)
hkl 2 0 -3, 43.73 deg, rel. 100
hkl 1 1 1, 35.93 deg, rel. 58
hkl 2 0 3, 44.15 deg, rel. 53
hkl 4 0 0, 39.13 deg, rel. 45
hkl 1 1 -2, 42.60 deg, rel. 34
hkl 3 1 1, 45.87 deg, rel. 27
hkl 3 1 -1, 45.66 deg, rel. 26
hkl 0 2 0, 66.76 deg, rel. 25
hkl 1 1 2, 42.75 deg, rel. 24
hkl 3 1 2, 51.66 deg, rel. 22

Cell and atoms:
a b c (Å): 9.2081 2.8026 6.9142
angles (deg): 90.00 90.67 90.00
Space group C2/m (No. 12)
One atom of each set of equivalent atoms:
Cr: 0.0983 0.0000 0.2550 x4
Cr: 0.1425 0.5000 0.9341 x4
Cr: 0.1474 0.5000 0.5758 x4
C: 0.0000 0.0000 0.0000 x2
C: 0.2478 0.5000 0.2474 x4
N: 0.0000 0.0000 0.5000 x2



3.
Starting from a crystal structure in the Materials Project, relaxed with GGA-PBE, the powder X-ray diffraction pattern of Ho2Co3Si5 was calculated for Cu Kα (weighted mean of Kα1 and Kα2).
No peak broadening, texture or thermal motion is included.

Peak list (10 most intense, 10° ≤ 2θ ≤ 80°, by intensity)
hkl 3 2 1, 36.24 deg, rel. 100
hkl 2 0 2, 37.62 deg, rel. 64
hkl 1 2 1, 24.41 deg, rel. 60
hkl 2 4 0, 37.03 deg, rel. 57
hkl 0 4 2, 46.01 deg, rel. 56
hkl 5 2 1, 53.24 deg, rel. 32
hkl 0 0 2, 32.42 deg, rel. 24
hkl 0 4 0, 31.75 deg, rel. 23
hkl 3 2 3, 60.35 deg, rel. 22
hkl 3 6 1, 59.52 deg, rel. 20

Cell and atoms:
a b c (Å): 9.5578 11.2743 5.5229
angles (deg): 90.00 90.00 90.00
Space group Ibam (No. 72)
One atom of each set of equivalent atoms:
Ho: 0.2328 0.1349 0.0000 x8
Co: 0.0000 0.5000 0.2500 x4
Co: 0.1088 0.1381 0.5000 x8
Si: 0.0000 0.0000 0.2500 x4
Si: 0.0000 0.2742 0.2500 x8
Si: 0.1591 0.3991 0.0000 x8



4.
Starting from a crystal structure in the Materials Project, relaxed with GGA-PBE, the powder X-ray diffraction pattern of Tm4FeS7 was calculated for Cu Kα (weighted mean of Kα1 and Kα2).
No peak broadening, texture or thermal motion is included.

Peak list (10 most intense, 10° ≤ 2θ ≤ 80°, by intensity)
hkl 2 0 2, 24.80 deg, rel. 100
hkl 2 0 -3, 25.32 deg, rel. 95
hkl 3 1 0, 32.93 deg, rel. 60
hkl 3 1 1, 35.38 deg, rel. 57
hkl 3 1 -2, 34.21 deg, rel. 54
hkl 3 1 -1, 32.53 deg, rel. 47
hkl 6 0 1, 48.80 deg, rel. 47
hkl 4 0 -1, 29.11 deg, rel. 47
hkl 1 1 -2, 28.85 deg, rel. 45
hkl 1 1 4, 43.29 deg, rel. 44

Cell and atoms:
a b c (Å): 12.2741 3.7413 11.2588
angles (deg): 90.00 104.59 90.00
Space group Cm (No. 8)
One atom of each set of equivalent atoms:
Tm: 0.0000 0.0000 0.0000 x2
Tm: 0.0809 0.5000 0.3603 x2
Tm: 0.1942 0.5000 0.8004 x2
Tm: 0.3880 0.0000 0.5968 x2
Fe: 0.3053 0.5000 0.2189 x2
S: 0.0339 0.0000 0.7433 x2
S: 0.1618 0.5000 0.0215 x2
S: 0.2025 0.0000 0.2897 x2
S: 0.2303 0.5000 0.5787 x2
S: 0.3554 0.0000 0.8463 x2
S: 0.4257 0.0000 0.1488 x2
S: 0.4483 0.5000 0.4338 x2



5.